Input =
- - -
Record 1
# PBE NaPr9Si6S2O24, optimized geometry
# SG = No. 7
# total magnetic moment = 0.0 μB/cell
data_NaPr9Si6S2O24
_symmetry_space_group_name_H-M 'P 1'
_symmetry_Int_Tables_number 1
_symmetry_space_group_name_Hall 'P 1'
_cell_length_a 9.962
_cell_length_b 6.961
_cell_length_c 19.927
_cell_angle_alpha 90.00
_cell_angle_beta 119.99
_cell_angle_gamma 90.00
loop_
_atom_site_label
_atom_site_type_symbol
_atom_site_fract_x
_atom_site_fract_y
_atom_site_fract_z
_atom_site_occupancy
Na1 Na 0.000 0.244 0.000 1
Na2 Na 0.000 0.756 0.500 1
Pr1 Pr 0.331 0.254 0.833 1
Pr2 Pr 0.331 0.746 0.333 1
Pr3 Pr 0.334 0.249 0.333 1
Pr4 Pr 0.334 0.751 0.833 1
Pr5 Pr 0.414 0.496 0.047 1
Pr6 Pr 0.414 0.504 0.547 1
Pr7 Pr 0.419 0.003 0.167 1
Pr8 Pr 0.419 0.997 0.667 1
Pr9 Pr 0.665 0.003 0.042 1
Pr10 Pr 0.665 0.997 0.542 1
Pr11 Pr 0.678 0.500 0.292 1
Pr12 Pr 0.678 0.500 0.792 1
Pr13 Pr 0.905 0.498 0.160 1
Pr14 Pr 0.905 0.502 0.660 1
Pr15 Pr 0.915 0.007 0.791 1
Pr16 Pr 0.915 0.993 0.291 1
Pr17 Pr 0.999 0.245 0.500 1
Pr18 Pr 0.999 0.755 0.000 1
Si1 Si 0.050 0.495 0.374 1
Si2 Si 0.050 0.505 0.874 1
Si3 Si 0.072 0.002 0.682 1
Si4 Si 0.072 0.998 0.182 1
Si5 Si 0.251 0.497 0.650 1
Si6 Si 0.251 0.503 0.150 1
Si7 Si 0.291 0.004 0.464 1
Si8 Si 0.291 0.996 0.964 1
Si9 Si 0.636 0.001 0.354 1
Si10 Si 0.636 0.999 0.854 1
Si11 Si 0.698 0.498 0.475 1
Si12 Si 0.698 0.502 0.975 1
S1 S 0.660 0.251 0.662 1
S2 S 0.660 0.749 0.162 1
S3 S 0.673 0.242 0.171 1
S4 S 0.673 0.758 0.671 1
O1 O 0.029 0.191 0.718 1
O2 O 0.029 0.809 0.218 1
O3 O 0.030 0.189 0.217 1
O4 O 0.030 0.811 0.717 1
O5 O 0.061 0.500 0.102 1
O6 O 0.061 0.500 0.602 1
O7 O 0.142 0.498 0.969 1
O8 O 0.142 0.502 0.469 1
O9 O 0.172 0.495 0.342 1
O10 O 0.172 0.505 0.842 1
O11 O 0.187 0.008 0.504 1
O12 O 0.187 0.992 0.004 1
O13 O 0.194 0.004 0.867 1
O14 O 0.194 0.996 0.367 1
O15 O 0.266 0.002 0.730 1
O16 O 0.266 0.998 0.230 1
O17 O 0.299 0.305 0.618 1
O18 O 0.299 0.695 0.118 1
O19 O 0.317 0.495 0.744 1
O20 O 0.317 0.505 0.244 1
O21 O 0.328 0.325 0.128 1
O22 O 0.328 0.675 0.628 1
O23 O 0.405 0.194 0.483 1
O24 O 0.405 0.806 0.983 1
O25 O 0.407 0.186 0.988 1
O26 O 0.407 0.814 0.488 1
O27 O 0.511 0.498 0.413 1
O28 O 0.511 0.502 0.913 1
O29 O 0.540 0.008 0.903 1
O30 O 0.540 0.992 0.403 1
O31 O 0.561 0.193 0.299 1
O32 O 0.561 0.807 0.799 1
O33 O 0.568 0.186 0.795 1
O34 O 0.568 0.814 0.295 1
O35 O 0.743 0.326 0.037 1
O36 O 0.743 0.674 0.537 1
O37 O 0.762 0.304 0.530 1
O38 O 0.762 0.696 0.030 1
O39 O 0.796 0.498 0.928 1
O40 O 0.796 0.502 0.428 1
O41 O 0.822 0.005 0.406 1
O42 O 0.822 0.995 0.906 1
O43 O 0.925 0.329 0.835 1
O44 O 0.925 0.671 0.335 1
O45 O 0.940 0.301 0.351 1
O46 O 0.940 0.699 0.851 1
O47 O 0.990 0.006 0.589 1
O48 O 0.990 0.994 0.089 1

Record 2
# PBE Mg2Si, optimized geometry
# SG = No. 12
# total magnetic moment = 0.0 μB/cell
data_Mg2Si
_symmetry_space_group_name_H-M 'P 1'
_symmetry_Int_Tables_number 1
_symmetry_space_group_name_Hall 'P 1'
_cell_length_a 5.903
_cell_length_b 5.903
_cell_length_c 7.266
_cell_angle_alpha 91.12
_cell_angle_beta 91.12
_cell_angle_gamma 62.66
loop_
_atom_site_label
_atom_site_type_symbol
_atom_site_fract_x
_atom_site_fract_y
_atom_site_fract_z
_atom_site_occupancy
Mg1 Mg 0.000 0.500 0.000 1
Mg2 Mg 0.167 0.675 0.677 1
Mg3 Mg 0.325 0.833 0.323 1
Mg4 Mg 0.335 0.335 0.340 1
Mg5 Mg 0.500 0.000 0.000 1
Mg6 Mg 0.665 0.665 0.660 1
Mg7 Mg 0.675 0.167 0.677 1
Mg8 Mg 0.833 0.325 0.323 1
Si1 Si 0.000 0.000 0.000 1
Si2 Si 0.168 0.168 0.668 1
Si3 Si 0.500 0.500 0.000 1
Si4 Si 0.832 0.832 0.332 1

Record 3
# PBE Ti2CN, optimized geometry
# SG = No. 166
data_Ti2CN
_symmetry_space_group_name_H-M 'P 1'
_symmetry_Int_Tables_number 1
_symmetry_space_group_name_Hall 'P 1'
_cell_length_a 5.264
_cell_length_b 5.264
_cell_length_c 5.264
_cell_angle_alpha 33.52
_cell_angle_beta 33.52
_cell_angle_gamma 33.52
loop_
_atom_site_label
_atom_site_type_symbol
_atom_site_fract_x
_atom_site_fract_y
_atom_site_fract_z
_atom_site_occupancy
Ti1 Ti 0.249 0.249 0.249 1
Ti2 Ti 0.751 0.751 0.751 1
- - -

Wanted =
Your job: set down the calculation results above from the first line to the one with "0.483" verbatim.

Worked solution =
Record 1
# PBE NaPr9Si6S2O24, optimized geometry
# SG = No. 7
# total magnetic moment = 0.0 μB/cell
data_NaPr9Si6S2O24
_symmetry_space_group_name_H-M 'P 1'
_symmetry_Int_Tables_number 1
_symmetry_space_group_name_Hall 'P 1'
_cell_length_a 9.962
_cell_length_b 6.961
_cell_length_c 19.927
_cell_angle_alpha 90.00
_cell_angle_beta 119.99
_cell_angle_gamma 90.00
loop_
_atom_site_label
_atom_site_type_symbol
_atom_site_fract_x
_atom_site_fract_y
_atom_site_fract_z
_atom_site_occupancy
Na1 Na 0.000 0.244 0.000 1
Na2 Na 0.000 0.756 0.500 1
Pr1 Pr 0.331 0.254 0.833 1
Pr2 Pr 0.331 0.746 0.333 1
Pr3 Pr 0.334 0.249 0.333 1
Pr4 Pr 0.334 0.751 0.833 1
Pr5 Pr 0.414 0.496 0.047 1
Pr6 Pr 0.414 0.504 0.547 1
Pr7 Pr 0.419 0.003 0.167 1
Pr8 Pr 0.419 0.997 0.667 1
Pr9 Pr 0.665 0.003 0.042 1
Pr10 Pr 0.665 0.997 0.542 1
Pr11 Pr 0.678 0.500 0.292 1
Pr12 Pr 0.678 0.500 0.792 1
Pr13 Pr 0.905 0.498 0.160 1
Pr14 Pr 0.905 0.502 0.660 1
Pr15 Pr 0.915 0.007 0.791 1
Pr16 Pr 0.915 0.993 0.291 1
Pr17 Pr 0.999 0.245 0.500 1
Pr18 Pr 0.999 0.755 0.000 1
Si1 Si 0.050 0.495 0.374 1
Si2 Si 0.050 0.505 0.874 1
Si3 Si 0.072 0.002 0.682 1
Si4 Si 0.072 0.998 0.182 1
Si5 Si 0.251 0.497 0.650 1
Si6 Si 0.251 0.503 0.150 1
Si7 Si 0.291 0.004 0.464 1
Si8 Si 0.291 0.996 0.964 1
Si9 Si 0.636 0.001 0.354 1
Si10 Si 0.636 0.999 0.854 1
Si11 Si 0.698 0.498 0.475 1
Si12 Si 0.698 0.502 0.975 1
S1 S 0.660 0.251 0.662 1
S2 S 0.660 0.749 0.162 1
S3 S 0.673 0.242 0.171 1
S4 S 0.673 0.758 0.671 1
O1 O 0.029 0.191 0.718 1
O2 O 0.029 0.809 0.218 1
O3 O 0.030 0.189 0.217 1
O4 O 0.030 0.811 0.717 1
O5 O 0.061 0.500 0.102 1
O6 O 0.061 0.500 0.602 1
O7 O 0.142 0.498 0.969 1
O8 O 0.142 0.502 0.469 1
O9 O 0.172 0.495 0.342 1
O10 O 0.172 0.505 0.842 1
O11 O 0.187 0.008 0.504 1
O12 O 0.187 0.992 0.004 1
O13 O 0.194 0.004 0.867 1
O14 O 0.194 0.996 0.367 1
O15 O 0.266 0.002 0.730 1
O16 O 0.266 0.998 0.230 1
O17 O 0.299 0.305 0.618 1
O18 O 0.299 0.695 0.118 1
O19 O 0.317 0.495 0.744 1
O20 O 0.317 0.505 0.244 1
O21 O 0.328 0.325 0.128 1
O22 O 0.328 0.675 0.628 1
O23 O 0.405 0.194 0.483 1